### Exercise
Copy the lines further below up to the one that holds "trigonal", that line included.
### Entries
+++
1.
Computed, not measured: crystalline SnC8S6N2 at its relaxed geometry at the GGA-PBE level of DFT.

a b c (Å): 13.3375 13.3375 8.2538
angles (deg): 106.66 106.66 67.17
Element x y z (fractional)
Sn  0.0000  0.0000  0.0000
Sn  0.0000  0.5000  0.0000
Sn  0.5000  0.0000  0.0000
Sn  0.5000  0.5000  0.0000
C  0.0489  0.1651  0.6841
C  0.0800  0.0800  0.7946
C  0.1052  0.1052  0.5355
C  0.1491  0.5551  0.7824
C  0.1651  0.0489  0.6841
C  0.1825  0.6882  0.7988
C  0.1826  0.6371  0.9363
C  0.2019  0.6612  0.1126
C  0.2909  0.2909  0.1563
C  0.3118  0.8175  0.2012
C  0.3334  0.4795  0.2567
C  0.3388  0.7981  0.8874
C  0.3603  0.3603  0.1733
C  0.3629  0.8174  0.0637
C  0.4449  0.8509  0.2176
C  0.4795  0.3334  0.2567
C  0.5205  0.6666  0.7433
C  0.5551  0.1491  0.7824
C  0.6371  0.1826  0.9363
C  0.6397  0.6397  0.8267
C  0.6612  0.2019  0.1126
C  0.6666  0.5205  0.7433
C  0.6882  0.1825  0.7988
C  0.7091  0.7091  0.8437
C  0.7981  0.3388  0.8874
C  0.8174  0.3629  0.0637
C  0.8175  0.3118  0.2012
C  0.8349  0.9511  0.3159
C  0.8509  0.4449  0.2176
C  0.8948  0.8948  0.4645
C  0.9200  0.9200  0.2054
C  0.9511  0.8349  0.3159
S  0.1069  0.4473  0.7305
S  0.1103  0.1103  0.3441
S  0.1568  0.3462  0.1797
S  0.1864  0.5770  0.2345
S  0.1940  0.8020  0.2253
S  0.1980  0.8060  0.7747
S  0.3462  0.1568  0.1797
S  0.3917  0.3917  0.8332
S  0.4060  0.5712  0.2741
S  0.4230  0.8136  0.7655
S  0.4288  0.5940  0.7259
S  0.4473  0.1069  0.7305
S  0.5527  0.8931  0.2695
S  0.5712  0.4060  0.2741
S  0.5770  0.1864  0.2345
S  0.5940  0.4288  0.7259
S  0.6083  0.6083  0.1668
S  0.6538  0.8432  0.8203
S  0.8020  0.1940  0.2253
S  0.8060  0.1980  0.7747
S  0.8136  0.4230  0.7655
S  0.8432  0.6538  0.8203
S  0.8897  0.8897  0.6559
S  0.8931  0.5527  0.2695
N  0.1503  0.6140  0.6643
N  0.1521  0.1521  0.8229
N  0.3860  0.8497  0.3357
N  0.3952  0.3952  0.3761
N  0.6048  0.6048  0.6239
N  0.6140  0.1503  0.6643
N  0.8479  0.8479  0.1771
N  0.8497  0.3860  0.3357

Output
total energy: -421.37 eV for the cell shown
energy relative to the elements: 10.2 eV per formula unit
crystal system: monoclinic
energy relative to the lowest polymorph listed for this composition: 0.0 kJ/mol of formula units
symmetry: C2/m


2.
Computed, not measured: crystalline GdMg16Al12 at its relaxed geometry at the GGA-PBE level of DFT.

a b c (Å): 9.2473 9.2473 9.2473
angles (deg): 110.41 110.41 110.41
Element x y z (fractional)
Gd  0.0000  0.0000  0.0000
Mg  0.0187  0.3136  0.6264
Mg  0.0187  0.6264  0.3136
Mg  0.2361  0.2361  0.9056
Mg  0.2361  0.9056  0.2361
Mg  0.2798  0.6196  0.6196
Mg  0.3136  0.0187  0.6264
Mg  0.3136  0.6264  0.0187
Mg  0.3400  0.9399  0.9399
Mg  0.6196  0.2798  0.6196
Mg  0.6196  0.6196  0.2798
Mg  0.6218  0.6218  0.6218
Mg  0.6264  0.0187  0.3136
Mg  0.6264  0.3136  0.0187
Mg  0.9056  0.2361  0.2361
Mg  0.9399  0.3400  0.9399
Mg  0.9399  0.9399  0.3400
Al  0.2546  0.2546  0.4349
Al  0.2546  0.4349  0.2546
Al  0.4349  0.2546  0.2546
Al  0.4358  0.4358  0.7983
Al  0.4358  0.7983  0.4358
Al  0.6273  0.8089  0.9879
Al  0.6273  0.9879  0.8089
Al  0.7983  0.4358  0.4358
Al  0.8089  0.6273  0.9879
Al  0.8089  0.9879  0.6273
Al  0.9879  0.6273  0.8089
Al  0.9879  0.8089  0.6273

Output
total energy: -86.51 eV for the cell shown
energy relative to the elements: -1.9 eV per formula unit
crystal system: trigonal
symmetry: R3m


3.
Computed, not measured: crystalline Er2Sn3Pb3S12 at its relaxed geometry at the GGA-PBE level of DFT.

a b c (Å): 3.9447 20.3452 11.6306
angles (deg): 90.00 90.00 90.00
Element x y z (fractional)
Er  0.0000  0.0882  0.0000
Er  0.0000  0.3951  0.6752
Er  0.0000  0.6049  0.1752
Er  0.0000  0.9118  0.5000
Sn  0.5000  0.0754  0.3440
Sn  0.5000  0.2506  0.8511
Sn  0.5000  0.4119  0.3692
Sn  0.5000  0.5881  0.8692
Sn  0.5000  0.7494  0.3511
Sn  0.5000  0.9246  0.8440
Pb  0.0000  0.1224  0.6211
Pb  0.0000  0.2422  0.2540
Pb  0.0000  0.4140  0.0474
Pb  0.0000  0.5860  0.5474
Pb  0.0000  0.7578  0.7540
Pb  0.0000  0.8776  0.1211
+++
### Reply
1.
Computed, not measured: crystalline SnC8S6N2 at its relaxed geometry at the GGA-PBE level of DFT.

a b c (Å): 13.3375 13.3375 8.2538
angles (deg): 106.66 106.66 67.17
Element x y z (fractional)
Sn  0.0000  0.0000  0.0000
Sn  0.0000  0.5000  0.0000
Sn  0.5000  0.0000  0.0000
Sn  0.5000  0.5000  0.0000
C  0.0489  0.1651  0.6841
C  0.0800  0.0800  0.7946
C  0.1052  0.1052  0.5355
C  0.1491  0.5551  0.7824
C  0.1651  0.0489  0.6841
C  0.1825  0.6882  0.7988
C  0.1826  0.6371  0.9363
C  0.2019  0.6612  0.1126
C  0.2909  0.2909  0.1563
C  0.3118  0.8175  0.2012
C  0.3334  0.4795  0.2567
C  0.3388  0.7981  0.8874
C  0.3603  0.3603  0.1733
C  0.3629  0.8174  0.0637
C  0.4449  0.8509  0.2176
C  0.4795  0.3334  0.2567
C  0.5205  0.6666  0.7433
C  0.5551  0.1491  0.7824
C  0.6371  0.1826  0.9363
C  0.6397  0.6397  0.8267
C  0.6612  0.2019  0.1126
C  0.6666  0.5205  0.7433
C  0.6882  0.1825  0.7988
C  0.7091  0.7091  0.8437
C  0.7981  0.3388  0.8874
C  0.8174  0.3629  0.0637
C  0.8175  0.3118  0.2012
C  0.8349  0.9511  0.3159
C  0.8509  0.4449  0.2176
C  0.8948  0.8948  0.4645
C  0.9200  0.9200  0.2054
C  0.9511  0.8349  0.3159
S  0.1069  0.4473  0.7305
S  0.1103  0.1103  0.3441
S  0.1568  0.3462  0.1797
S  0.1864  0.5770  0.2345
S  0.1940  0.8020  0.2253
S  0.1980  0.8060  0.7747
S  0.3462  0.1568  0.1797
S  0.3917  0.3917  0.8332
S  0.4060  0.5712  0.2741
S  0.4230  0.8136  0.7655
S  0.4288  0.5940  0.7259
S  0.4473  0.1069  0.7305
S  0.5527  0.8931  0.2695
S  0.5712  0.4060  0.2741
S  0.5770  0.1864  0.2345
S  0.5940  0.4288  0.7259
S  0.6083  0.6083  0.1668
S  0.6538  0.8432  0.8203
S  0.8020  0.1940  0.2253
S  0.8060  0.1980  0.7747
S  0.8136  0.4230  0.7655
S  0.8432  0.6538  0.8203
S  0.8897  0.8897  0.6559
S  0.8931  0.5527  0.2695
N  0.1503  0.6140  0.6643
N  0.1521  0.1521  0.8229
N  0.3860  0.8497  0.3357
N  0.3952  0.3952  0.3761
N  0.6048  0.6048  0.6239
N  0.6140  0.1503  0.6643
N  0.8479  0.8479  0.1771
N  0.8497  0.3860  0.3357

Output
total energy: -421.37 eV for the cell shown
energy relative to the elements: 10.2 eV per formula unit
crystal system: monoclinic
energy relative to the lowest polymorph listed for this composition: 0.0 kJ/mol of formula units
symmetry: C2/m


2.
Computed, not measured: crystalline GdMg16Al12 at its relaxed geometry at the GGA-PBE level of DFT.

a b c (Å): 9.2473 9.2473 9.2473
angles (deg): 110.41 110.41 110.41
Element x y z (fractional)
Gd  0.0000  0.0000  0.0000
Mg  0.0187  0.3136  0.6264
Mg  0.0187  0.6264  0.3136
Mg  0.2361  0.2361  0.9056
Mg  0.2361  0.9056  0.2361
Mg  0.2798  0.6196  0.6196
Mg  0.3136  0.0187  0.6264
Mg  0.3136  0.6264  0.0187
Mg  0.3400  0.9399  0.9399
Mg  0.6196  0.2798  0.6196
Mg  0.6196  0.6196  0.2798
Mg  0.6218  0.6218  0.6218
Mg  0.6264  0.0187  0.3136
Mg  0.6264  0.3136  0.0187
Mg  0.9056  0.2361  0.2361
Mg  0.9399  0.3400  0.9399
Mg  0.9399  0.9399  0.3400
Al  0.2546  0.2546  0.4349
Al  0.2546  0.4349  0.2546
Al  0.4349  0.2546  0.2546
Al  0.4358  0.4358  0.7983
Al  0.4358  0.7983  0.4358
Al  0.6273  0.8089  0.9879
Al  0.6273  0.9879  0.8089
Al  0.7983  0.4358  0.4358
Al  0.8089  0.6273  0.9879
Al  0.8089  0.9879  0.6273
Al  0.9879  0.6273  0.8089
Al  0.9879  0.8089  0.6273

Output
total energy: -86.51 eV for the cell shown
energy relative to the elements: -1.9 eV per formula unit
crystal system: trigonal